Over just two days in early 2016, more than 6,000 penguin-like birds were found dead on the rocky beaches near Whittier, Alaska. Many of the dead birds, scientists observed, were clearly emaciated.
“It was pretty horrifying,” seabird biologist David Irons told a Canadian news outlet at the time. “The live ones standing along the dead ones were even worse.”
But the death of these 6,540 “common murres” wasn’t an isolated incident. Between the summer of 2015 and spring of 2016, tens of thousands of them washed up on Pacific beaches from Alaska all the way down to California in what scientists called an “astonishing” extreme mortality event for the species. (Other marine animal deaths and disappearances during the same time period—including additional seabird species, Pacific cod, sea lions, Guadalupe fur seals, and humpback whales—for the most part, went unexplained.)

Dead common murres lie washed up on a beach in Whittier, Alaska in 2016.
Mark Thiessen/AP
Unrelated to this text: quantum chemistry results =
(1)
{
  "formula": "C6H9FN3O4",
  "method": "ωB97M-V with the def2-TZVPD basis set",
  "e_tot_ev": -21742.95831,
  "largest_force_ha_per_bohr": 0.089,
  "e_above_lowest_kj_mol": 255.0,
  "charge": -1,
  "mol_weight_da": 206.15,
  "e_homo_ha": [-0.090, -0.090],
  "species": ["C", "C", "C", "C", "C", "C", "N", "N", "N", "O", "O", "O", "O", "F", "H", "H", "H", "H", "H", "H", "H", "H", "H"],
  "positions_angstrom": [[-0.44, 0.80, 2.11], [1.39, -0.72, -0.41], [-0.87, -1.76, 0.21], [0.65, 0.62, -0.72], [0.39, -1.86, -0.56], [-0.78, 0.70, -0.07], [-1.56, -0.53, -0.12], [-1.65, 1.80, -0.24], [1.51, 1.73, -0.59], [0.35, 0.02, 2.46], [1.14, 2.84, -1.00], [-1.28, 1.58, 2.40], [2.64, 1.56, -0.07], [1.22, -3.02, -0.23], [2.09, -0.91, -1.16], [1.84, -0.64, 0.59], [-1.40, -2.67, -0.02], [-0.70, -1.74, 1.36], [0.43, 0.61, -1.84], [0.23, -2.06, -1.69], [-2.06, -0.74, -0.98], [-2.21, 1.79, 0.64], [-0.95, 2.61, -0.08]],
  "nbo_charge": [0.89, -0.43, -0.28, -0.16, 0.22, 0.04, -0.64, -0.87, 0.52, -0.68, -0.41, -0.69, -0.40, -0.42, 0.20, 0.27, 0.19, 0.23, 0.20, 0.15, 0.32, 0.40, 0.37]
}

(2)
{
  "formula": "C10H11N3O3S4",
  "method": "ωB97M-V with the def2-TZVPD basis set",
  "e_tot_ev": -64499.98764,
  "largest_force_ha_per_bohr": 0.093,
  "charge": 0,
  "mol_weight_da": 349.48,
  "e_homo_ha": -0.281,
  "smiles": "CCN1C(=O)/C(=C2/SC(SCC(=O)O)=NN2C)SC1=S",
  "species": ["C", "C", "N", "C", "O", "C", "C", "S", "C", "S", "C", "C", "O", "O", "N", "N", "C", "S", "C", "S", "H", "H", "H", "H", "H", "H", "H", "H", "H", "H", "H"],
  "positions_angstrom": [[3.65, -3.74, -0.13], [2.11, -3.89, -0.53], [1.49, -2.61, -0.72], [0.67, -1.96, 0.18], [0.44, -2.36, 1.32], [-0.12, -0.84, -0.48], [-1.06, -0.02, -0.03], [-2.15, 0.99, -1.00], [-2.66, 1.76, 0.50], [-3.60, 3.25, 0.55], [-2.91, 4.34, -0.86], [-1.46, 4.71, -0.48], [-0.53, 3.98, -0.89], [-1.29, 5.82, 0.19], [-2.39, 1.06, 1.61], [-1.49, 0.10, 1.35], [-0.44, 0.10, 2.50], [0.24, -0.76, -2.11], [1.32, -2.13, -2.06], [2.07, -2.76, -3.43], [3.96, -3.10, -0.89], [3.73, -3.26, 0.82], [4.22, -4.75, -0.05], [1.74, -4.54, 0.19], [1.95, -4.53, -1.43], [-3.00, 3.74, -1.75], [-3.44, 5.27, -0.82], [-0.31, 5.93, 0.23], [0.60, 0.21, 2.16], [-0.67, 0.90, 3.10], [-0.66, -0.88, 2.95]],
  "nbo_charge": [-0.60, -0.23, -0.46, 0.68, -0.59, -0.48, 0.09, 0.36, -0.17, 0.28, -0.58, 0.77, -0.61, -0.65, -0.22, -0.22, -0.39, 0.47, -0.10, -0.10, 0.21, 0.21, 0.22, 0.22, 0.23, 0.25, 0.25, 0.51, 0.21, 0.21, 0.24]
}

(3)
{
  "formula": "C46H93IO11Si",
  "method": "ωB97M-V with the def2-TZVPD basis set",
  "e_tot_ev": -87712.61091,
  "largest_force_ha_per_bohr": 0.062,
  "charge": 0,
  "mol_weight_da": 977.23,
  "e_homo_ha": -0.341,
  "smiles": "CCCCCCCCCCC[Si@@H](CC(=O)I)OC[C@H](C)C(C)C.CC(C)=O.CC(C)=O.CC(C)=O.CC(C)=O.CC(C)=O.CC(C)=O.CC(C)=O.CC(C)=O.CC(C)=O",
Something, experts quickly concluded, was causing the birds to starve to death, but until now, it was unclear what exactly was to blame. In a new paper, published Wednesday in the open-access journal PLOS ONE, more than 20 researchers link the murre die-off to a colossal mass of warm ocean water—colloquially, scientists called it the “Blob”—which spanned hundreds of miles across in the Pacific Ocean around the same time the dead murres carcasses were crowding the coasts. Marine heatwaves like the one that created the Blob have become more frequent in the past century and will likely worsen as Earth’s temperatures continue to rise with climate change.
One of North America’s most abundant seabirds, murres can fly more than 60 miles per hour and dive up to 650 feet in depth to catch schooling fish. The bird is built like a “jet fighter,” John Piatt, a research wildlife biologist at the US Geological Survey and the lead author on the study, tells Mother Jones. But to have all that explosive energy, the birds must find and consume a lot of food—about half their body mass per day. That high demand for energy is the murres’ “Achilles heel,” he says. Without food, murres can starve in as little as three days.
The birds’ food sensitivity makes them a good indicator of ocean health. Some murre deaths in any given season are normal, Piatt says, and die-offs have occurred during storms and other extreme warm-water events in the past. But what happened in the Pacific in 2015 and 2016, he says, was “beyond anything anybody’s ever seen.” Something in the ocean was way out of whack.
After years of collecting and analyzing data, researchers are finally starting to understand what went wrong. The new, sprawling study includes two major parts: In the first, the researchers estimate just how bad the mortality event was for the poor seabirds. Researchers considered nearly 5,800 beach surveys, public reports, and data from dozens of seabird rehab centers and concluded that approximately 62,000 dead or dying birds appeared on beaches between California and Alaska between the summer of 2015 and the spring of 2016. Not every dead bird washed ashore, of course, so the total number of birds killed is almost certainly larger. The researchers think the die-off could have taken the lives of around 1 million murres.
Alarmingly, they also documented 22 separate “breeding failures”—when a colony produces zero chicks—in the region during and after the die-off. As Piatt explains, one failure in any given year would have been unusual. “To have repeated failures at large, important colonies?” he says, “That’s unprecedented.”
In part two of the study, the scientists argue, based on their own research combined with data presented in dozens of other studies, that the heatwave likely caused the birds to starve. The higher temperatures, their findings suggest, reduced the size and fat of the murre’s prey and increased competition from larger fish species like Pacific cod, walleye pollock, and arrowtooth flounder, which eat the same small fish on which the murres rely. In fact, a 2015 study from researchers at the National Oceanic and Atmospheric Administration predicted that a two-degree increase in ocean temperatures in the Gulf of Alaska (almost exactly what scientists saw in the case of the Blob) would cause the murres’ competitors to increase their food consumption by up to 70 percent. Simply put, warmer water means smaller prey—and more competition.
Tim Birkhead, a professor of behavioral ecology at the University of Sheffield in England, who has studied common murres for decades and was not involved in the study, tells Mother Jones he was “horrified” by the results. “Seabird populations across the world have just about halved in the last three or four decades. Here is yet another major blow.” Birkhead was “impressed” by the study, he says, because it was comprehensive and the authors were “careful” and “honest” about their findings. “They did it without any bullshit.”
The evidence is convincing in its simplicity (“parsimonious,” as Piatt calls it) but it is still only a piece of the puzzle. The conclusions, though well-supported, are still only hypotheses for what the researchers think explain the die-off. The ocean is vast and complex, and not every heatwave will have the same effect. Piatt hopes that others will continue to study the phenomenon, perhaps with computer modeling. “Models could be useful in helping us predict which species are going to take a hit [from future heat waves],” he says. “Now we see it’s murres, but we could plug in more species into the model. We can plug more fish into the model. What happens if it’s three degrees—or four degrees?”
(Records of molecules, as found in the file)
~~~
Formula: H12O5S2
Source: the Open Molecules 2025 dataset
Level of theory: ωB97M-V/def2-TZVPD

## Properties
Kohn-Sham gap = 8.6944 eV
SMILES = SS.O.O.O.O.O
Net charge = 0

Geometry (Å):
S1 -1.670 -2.121 -3.075
S2 -1.486 -3.248 -4.839
H1 -1.448 -3.242 -2.377
H2 -1.012 -2.269 -5.627
O1 1.853 2.519 0.840
H3 2.316 2.709 0.011
H4 1.694 3.425 1.127
O2 -0.988 -0.729 2.573
H5 -0.842 -1.131 1.714
H6 -1.920 -0.714 2.787
O3 -0.870 3.784 2.620
H7 -1.124 4.663 2.907
H8 -0.775 3.227 3.391
O4 1.460 -0.082 -0.644
H9 1.338 0.867 -0.548
H10 2.157 -0.371 -0.052
O5 0.106 -2.646 -0.188
H11 0.194 -1.694 -0.360
H12 1.017 -2.947 -0.263

Atoms 1-2, force components in eV/Å:
-0.04 -0.38 -0.30
-0.20 0.15 -0.21

Formula: H12O6
Source: the Open Molecules 2025 dataset
Level of theory: ωB97M-V/def2-TZVPD

## Properties
Kohn-Sham gap = 11.1328 eV
SMILES = O.O.O.O.O.O
Net charge = 0

Geometry (Å):
O1 -0.947 -1.862 0.185
H1 -0.846 -1.246 -0.651
H2 -1.374 -2.702 -0.082
O2 0.772 1.737 1.170
H3 -0.225 1.781 1.023
H4 0.973 0.806 1.563
O3 -0.905 -0.044 -1.792
H5 -1.292 0.533 -1.044
H6 0.000 0.292 -1.784
O4 1.551 0.773 -1.413
H7 1.914 0.070 -0.896
H8 1.252 1.407 -0.684
O5 -1.805 0.565 0.760
H9 -2.877 0.634 0.901
H10 -1.586 -0.434 0.864
O6 1.514 -0.923 0.948
H11 0.699 -1.377 0.572
H12 1.923 -1.735 1.361

Atoms 1-2, force components in eV/Å:
0.04 0.00 -1.11
-0.50 -1.02 0.37

Formula: H12O6
Source: the Open Molecules 2025 dataset
Level of theory: ωB97M-V/def2-TZVPD

## Properties
Kohn-Sham gap = 10.1508 eV
SMILES = O.O.O.O.O.O
Net charge = 0

Geometry (Å):
O1 15.524 0.889 20.285
H1 15.506 1.837 20.301
H2 14.958 0.697 21.046
O2 16.867 4.732 18.542
H3 16.156 4.404 19.103
H4 17.422 3.981 18.478
O3 13.316 0.424 21.911
H5 12.753 0.173 22.614
H6 13.005 1.327 21.710
O4 14.678 3.797 20.025
H7 14.718 4.515 20.711
H8 13.737 3.454 20.073
O5 14.439 -0.843 18.357
H9 15.138 -0.652 18.968
H10 14.508 -1.742 18.018
O6 14.425 -2.273 20.977
H11 15.319 -2.088 20.631
H12 13.952 -1.442 21.043

Atoms 1-2, force components in eV/Å:
-0.06 -0.58 0.53
0.29 1.02 -0.45

Formula: H12O6
Source: the Open Molecules 2025 dataset
Level of theory: ωB97M-V/def2-TZVPD

## Properties
Kohn-Sham gap = 10.9397 eV
SMILES = O.O.O.O.O.O
Net charge = 0

Geometry (Å):
O1 15.960 -2.269 8.640
H1 15.953 -2.577 7.723
H2 16.377 -2.983 9.138
O2 12.608 0.819 9.449
H3 13.383 1.194 9.020
H4 12.587 -0.119 9.148
O3 11.252 -3.773 7.982
H5 10.824 -2.935 8.209
H6 10.558 -4.436 8.088
O4 13.197 -1.744 8.728
H7 14.148 -1.968 8.798
H8 12.787 -2.522 8.327
O5 14.734 -1.084 11.718
H9 14.406 -0.332 11.206
H10 14.030 -1.738 11.656
O6 12.126 -5.088 5.650
H11 11.974 -4.585 6.474
H12 11.272 -5.108 5.208

Atoms 1-2, force components in eV/Å:
-0.06 -0.24 -0.27
0.13 0.07 0.11

Formula: H12O6
Source: the Open Molecules 2025 dataset
Level of theory: ωB97M-V/def2-TZVPD

## Properties
Kohn-Sham gap = 9.1718 eV
Net charge = 0

Geometry (Å):
O1 2.183 0.437 0.742
H1 2.398 1.368 0.694
H2 1.343 0.361 0.290
O2 0.316 0.056 -0.092
H3 -0.376 -0.276 -0.665
~~~
(Back to the page)
As devastating as it was, the heatwave that caused the Blob was only categorized as “severe.” Marine heatwaves can be classified anywhere from “moderate” to “extreme” (for instance, the one that hit the waters off Western Australia in 2011 that caused widespread coral bleaching and fish deaths). And these events will likely only get worse. With climate change, the study’s authors warn, “the expected intensity, frequency, spatial extent and duration of heatwaves by the end of the twenty-first century may well cause unprecedented and irreversible changes to marine ecosystem functionality and stability.”